Contents =
'''
VASP calculation (r2SCAN) on a geometry-optimized CeP2Ru2 structure.

The structure in POSCAR format:
```
CeP2Ru2
1.0
3.807 0.000 -1.411
-0.523 3.771 -1.411
-0.062 -0.072 5.675
Ce P Ru
1 2 2
direct
0.000 0.000 0.000
0.372 0.372 0.743
0.628 0.628 0.257
0.250 0.750 0.500
0.750 0.250 0.500
```

Summary:
* calculated formation energy: -25.5 kcal/mol of atoms
* crystal system: tetragonal
* symmetry: I4/mmm, No. 139
* raw total energy: -21.04 eV/atom

---

VASP calculation (r2SCAN) on a geometry-optimized SmCuSn structure.

The structure in POSCAR format:
```
SmCuSn
1.0
-4.219 -1.672 0.402
3.523 -2.248 1.813
-0.888 3.785 6.418
Sm Cu Sn
2 2 2
direct
0.000 0.000 0.494
0.000 0.000 0.994
0.667 0.333 0.309
0.333 0.667 0.809
0.333 0.667 0.225
0.667 0.333 0.725
```

Summary:
* calculated formation energy: -15.5 kcal/mol of atoms
* crystal system: hexagonal
* symmetry: P6_3mc, No. 186
* raw total energy: -22.45 eV/atom

---

VASP calculation (r2SCAN) on a geometry-optimized Dy2Sc3Si4 structure.

The structure in POSCAR format:
```
Dy2Sc3Si4
1.0
7.082 0.000 0.000
0.000 7.396 0.000
0.000 0.000 13.972
Dy Sc Si
8 12 16
direct
0.012 0.176 0.097
0.988 0.824 0.903
0.488 0.676 0.903
0.988 0.824 0.597
0.512 0.324 0.097
0.012 0.176 0.403
0.512 0.324 0.403
0.488 0.676 0.597
0.163 0.503 0.750
0.837 0.497 0.250
0.337 0.003 0.250
0.663 0.997 0.750
0.330 0.177 0.626
0.670 0.823 0.374
0.170 0.677 0.374
0.670 0.823 0.126
0.830 0.323 0.626
0.330 0.177 0.874
0.830 0.323 0.874
0.170 0.677 0.126
0.034 0.115 0.750
0.966 0.885 0.250
0.466 0.615 0.250
0.534 0.385 0.750
0.286 0.873 0.750
0.714 0.127 0.250
0.214 0.373 0.250
0.786 0.627 0.750
0.158 0.465 0.539
0.842 0.535 0.461
0.342 0.965 0.461
0.842 0.535 0.039
0.658 0.035 0.539
0.158 0.465 0.961
0.658 0.035 0.961
0.342 0.965 0.039
```

Summary:
* calculated formation energy: -20.4 kcal/mol of atoms
* crystal system: orthorhombic
* symmetry: Pnma, No. 62
* raw total energy: -15.69 eV/atom

---

VASP calculation (r2SCAN) on a geometry-optimized Ca3Mo2O7 structure.

The structure in POSCAR format:
```
Ca3Mo2O7
1.0
2.743 -9.863 0.000
2.743 9.863 0.000
0.000 0.000 5.602
Ca Mo O
6 4 14
direct
0.242 0.242 0.299
0.758 0.758 0.799
0.049 0.429 0.202
0.951 0.571 0.702
0.429 0.049 0.202
0.571 0.951 0.702
0.848 0.648 0.250
0.152 0.352 0.750
0.352 0.152 0.750
0.648 0.848 0.250
0.626 0.026 0.280
0.374 0.974 0.780
0.974 0.374 0.780
0.026 0.626 0.280
0.429 0.663 0.955
0.571 0.337 0.455
0.337 0.571 0.455
0.663 0.429 0.955
0.965 0.128 0.047
0.035 0.872 0.547
0.658 0.658 0.214
0.342 0.342 0.714
0.128 0.965 0.047
0.872 0.035 0.547
```

Summary:
* calculated formation energy: -62.2 kcal/mol of atoms
* crystal system: orthorhombic
* symmetry: Cmc2_1, No. 36
* raw total energy: -12.29 eV/atom

---

VASP calculation (r2SCAN) on a geometry-optimized SnF2 structure.

The structure in POSCAR format:
```
SnF2
1.0
5.041 0.000 0.000
0.000 5.041 0.000
0.000 0.000 8.435
Sn F
4 8
direct
0.011 0.011 0.500
0.489 0.511 0.750
0.511 0.489 0.250
0.989 0.989 0.000
0.733 0.864 0.337
0.267 0.136 0.837
0.864 0.733 0.663
0.364 0.767 0.087
0.136 0.267 0.163
0.233 0.636 0.413
0.767 0.364 0.913
0.636 0.233 0.587
```

Summary:
* calculated formation energy: -54.7 kcal/mol of atoms
* crystal system: tetragonal
* symmetry: P4_12_12, No. 92
* raw total energy: -12.70 eV/atom

---

VASP calculation (r2SCAN) on a geometry-optimized Sb3O2F5 structure.

The structure in POSCAR format:
```
Sb3O2F5
1.0
-1.609 -5.340 -1.894
7.199 -3.620 4.089
-3.631 -3.228 12.189
Sb O F
12 8 20
direct
0.962 0.750 0.000
0.038 0.250 0.000
0.563 0.878 0.208
0.563 0.622 0.792
0.437 0.122 0.792
0.437 0.378 0.208
0.612 0.750 0.500
0.388 0.250 0.500
0.959 0.581 0.362
0.959 0.919 0.638
0.041 0.419 0.638
0.041 0.081 0.362
0.737 0.778 0.339
0.737 0.722 0.661
0.263 0.222 0.661
0.263 0.278 0.339
0.832 0.924 0.493
0.832 0.576 0.507
0.168 0.076 0.507
0.168 0.424 0.493
0.198 0.734 0.360
0.198 0.766 0.640
0.802 0.266 0.640
0.802 0.234 0.360
0.736 0.915 0.960
0.736 0.585 0.040
0.264 0.085 0.040
'''
Work order =
Could you write out everything further above without altering anything?
Reply =
VASP calculation (r2SCAN) on a geometry-optimized CeP2Ru2 structure.

The structure in POSCAR format:
```
CeP2Ru2
1.0
3.807 0.000 -1.411
-0.523 3.771 -1.411
-0.062 -0.072 5.675
Ce P Ru
1 2 2
direct
0.000 0.000 0.000
0.372 0.372 0.743
0.628 0.628 0.257
0.250 0.750 0.500
0.750 0.250 0.500
```

Summary:
* calculated formation energy: -25.5 kcal/mol of atoms
* crystal system: tetragonal
* symmetry: I4/mmm, No. 139
* raw total energy: -21.04 eV/atom

---

VASP calculation (r2SCAN) on a geometry-optimized SmCuSn structure.

The structure in POSCAR format:
```
SmCuSn
1.0
-4.219 -1.672 0.402
3.523 -2.248 1.813
-0.888 3.785 6.418
Sm Cu Sn
2 2 2
direct
0.000 0.000 0.494
0.000 0.000 0.994
0.667 0.333 0.309
0.333 0.667 0.809
0.333 0.667 0.225
0.667 0.333 0.725
```

Summary:
* calculated formation energy: -15.5 kcal/mol of atoms
* crystal system: hexagonal
* symmetry: P6_3mc, No. 186
* raw total energy: -22.45 eV/atom

---

VASP calculation (r2SCAN) on a geometry-optimized Dy2Sc3Si4 structure.

The structure in POSCAR format:
```
Dy2Sc3Si4
1.0
7.082 0.000 0.000
0.000 7.396 0.000
0.000 0.000 13.972
Dy Sc Si
8 12 16
direct
0.012 0.176 0.097
0.988 0.824 0.903
0.488 0.676 0.903
0.988 0.824 0.597
0.512 0.324 0.097
0.012 0.176 0.403
0.512 0.324 0.403
0.488 0.676 0.597
0.163 0.503 0.750
0.837 0.497 0.250
0.337 0.003 0.250
0.663 0.997 0.750
0.330 0.177 0.626
0.670 0.823 0.374
0.170 0.677 0.374
0.670 0.823 0.126
0.830 0.323 0.626
0.330 0.177 0.874
0.830 0.323 0.874
0.170 0.677 0.126
0.034 0.115 0.750
0.966 0.885 0.250
0.466 0.615 0.250
0.534 0.385 0.750
0.286 0.873 0.750
0.714 0.127 0.250
0.214 0.373 0.250
0.786 0.627 0.750
0.158 0.465 0.539
0.842 0.535 0.461
0.342 0.965 0.461
0.842 0.535 0.039
0.658 0.035 0.539
0.158 0.465 0.961
0.658 0.035 0.961
0.342 0.965 0.039
```

Summary:
* calculated formation energy: -20.4 kcal/mol of atoms
* crystal system: orthorhombic
* symmetry: Pnma, No. 62
* raw total energy: -15.69 eV/atom

---

VASP calculation (r2SCAN) on a geometry-optimized Ca3Mo2O7 structure.

The structure in POSCAR format:
```
Ca3Mo2O7
1.0
2.743 -9.863 0.000
2.743 9.863 0.000
0.000 0.000 5.602
Ca Mo O
6 4 14
direct
0.242 0.242 0.299
0.758 0.758 0.799
0.049 0.429 0.202
0.951 0.571 0.702
0.429 0.049 0.202
0.571 0.951 0.702
0.848 0.648 0.250
0.152 0.352 0.750
0.352 0.152 0.750
0.648 0.848 0.250
0.626 0.026 0.280
0.374 0.974 0.780
0.974 0.374 0.780
0.026 0.626 0.280
0.429 0.663 0.955
0.571 0.337 0.455
0.337 0.571 0.455
0.663 0.429 0.955
0.965 0.128 0.047
0.035 0.872 0.547
0.658 0.658 0.214
0.342 0.342 0.714
0.128 0.965 0.047
0.872 0.035 0.547
```

Summary:
* calculated formation energy: -62.2 kcal/mol of atoms
* crystal system: orthorhombic
* symmetry: Cmc2_1, No. 36
* raw total energy: -12.29 eV/atom

---

VASP calculation (r2SCAN) on a geometry-optimized SnF2 structure.

The structure in POSCAR format:
```
SnF2
1.0
5.041 0.000 0.000
0.000 5.041 0.000
0.000 0.000 8.435
Sn F
4 8
direct
0.011 0.011 0.500
0.489 0.511 0.750
0.511 0.489 0.250
0.989 0.989 0.000
0.733 0.864 0.337
0.267 0.136 0.837
0.864 0.733 0.663
0.364 0.767 0.087
0.136 0.267 0.163
0.233 0.636 0.413
0.767 0.364 0.913
0.636 0.233 0.587
```

Summary:
* calculated formation energy: -54.7 kcal/mol of atoms
* crystal system: tetragonal
* symmetry: P4_12_12, No. 92
* raw total energy: -12.70 eV/atom

---

VASP calculation (r2SCAN) on a geometry-optimized Sb3O2F5 structure.

The structure in POSCAR format:
```
Sb3O2F5
1.0
-1.609 -5.340 -1.894
7.199 -3.620 4.089
-3.631 -3.228 12.189
Sb O F
12 8 20
direct
0.962 0.750 0.000
0.038 0.250 0.000
0.563 0.878 0.208
0.563 0.622 0.792
0.437 0.122 0.792
0.437 0.378 0.208
0.612 0.750 0.500
0.388 0.250 0.500
0.959 0.581 0.362
0.959 0.919 0.638
0.041 0.419 0.638
0.041 0.081 0.362
0.737 0.778 0.339
0.737 0.722 0.661
0.263 0.222 0.661
0.263 0.278 0.339
0.832 0.924 0.493
0.832 0.576 0.507
0.168 0.076 0.507
0.168 0.424 0.493
0.198 0.734 0.360
0.198 0.766 0.640
0.802 0.266 0.640
0.802 0.234 0.360
0.736 0.915 0.960
0.736 0.585 0.040
0.264 0.085 0.040